A Recap of Sabbath Services at the Great House of Yahweh…
If any of you lacks wisdom, let him ask it from Yahweh, Who gives to all liberally, and does not revile; and it will be given to him (Yaaqob 1:5). Yisrayl Hawkins helps us to understand this verse. Yahweh will bless those who repent of sin and convert to keeping Yahweh’s Laws – to them wisdom will be given.
Two Sons of Yisrayl Abel, Yoshiyah, and Deacon Abba Shalom, provided teachings on the following:
### Inserted here: calculated crystals
No. 1
Below is an optimized crystal structure of Tl2O3, with properties calculated at the PBE-GGA level.

Computed properties:
The value obtained for the corrected total energy (MP2020 scheme) is -4.884 eV per atom. The calculation puts the energy relative to the elements at -970 meV/atom. The size of the total moment is 0.000 μB per atom.

Cell lengths 17.824, 17.824, 17.824 Å; angles 11.45, 11.45, 11.45 degrees
Element x y z (fractional)
1 Tl 0.257 0.257 0.257
2 Tl 0.743 0.743 0.743
3 Tl 0.133 0.133 0.133
4 Tl 0.867 0.867 0.867
5 O 0.939 0.939 0.939
6 O 0.438 0.438 0.438
7 O 0.185 0.185 0.185
8 O 0.061 0.061 0.061
9 O 0.815 0.815 0.815
10 O 0.562 0.562 0.562

No. 2
Below is an optimized crystal structure of TaP3, with properties calculated at the PBE-GGA level.

Computed properties:
The calculation puts the energy relative to the elements at 225 meV/atom. The size of the total moment is 0.000 μB per atom.

Cell lengths 4.992, 4.992, 4.992 Å; angles 136.24, 136.24, 63.61 degrees
Element x y z (fractional)
1 Ta 0.000 0.000 0.000
2 P 0.750 0.250 0.500
3 P 0.250 0.750 0.500
4 P 0.500 0.500 0.000

No. 3
Below is an optimized crystal structure of CuSnO6, with properties calculated at the PBE-GGA level.

Computed properties:
The value obtained for the corrected total energy (MP2020 scheme) is -5.193 eV per atom. For the relative energy among the computed polymorphs, the calculation gives 1 meV/atom. The calculation puts the energy relative to the elements at -468 meV/atom. The size of the total moment is 0.113 μB per atom.

Cell lengths 6.401, 8.110, 8.238 Å; angles 90.00, 90.00, 90.00 degrees
Element x y z (fractional)
1 Cu 0.000 0.749 0.748
2 Cu 0.500 0.751 0.248
3 Cu 0.500 0.249 0.752
4 Cu 0.000 0.251 0.252
5 Sn 0.501 0.250 0.251
6 Sn 0.001 0.250 0.751
7 Sn 0.001 0.750 0.249
8 Sn 0.501 0.750 0.749
9 O 0.857 0.768 0.995
10 O 0.357 0.732 0.495
11 O 0.357 0.268 0.505
12 O 0.857 0.232 0.005
13 O 0.141 0.734 0.503
14 O 0.641 0.766 0.003
15 O 0.641 0.234 0.997
16 O 0.141 0.266 0.497
17 O 0.859 0.497 0.270
18 O 0.359 0.997 0.230
19 O 0.359 0.003 0.770
20 O 0.859 0.503 0.730
21 O 0.141 0.007 0.228
22 O 0.641 0.507 0.272
23 O 0.641 0.493 0.728
24 O 0.141 0.993 0.772
25 O 0.235 0.663 0.832
26 O 0.735 0.837 0.332
27 O 0.735 0.163 0.668
28 O 0.235 0.337 0.168
29 O 0.762 0.833 0.664
30 O 0.262 0.667 0.164
31 O 0.262 0.333 0.836
32 O 0.762 0.167 0.336

No. 4
Below is an optimized crystal structure of Na3B3H2O7, with properties calculated at the PBE-GGA level.

Computed properties:
The value obtained for the corrected total energy (MP2020 scheme) is -6.723 eV per atom. The calculation puts the energy relative to the elements at -2361 meV/atom.

Cell lengths 7.255, 8.947, 9.709 Å; angles 90.00, 90.00, 90.00 degrees
Element x y z (fractional)
1 Na 0.502 0.771 0.197
2 Na 0.998 0.271 0.303
3 Na 0.002 0.229 0.803
4 Na 0.498 0.729 0.697
5 Na 0.498 0.229 0.803
6 Na 0.002 0.729 0.697
7 Na 0.998 0.771 0.197
8 Na 0.502 0.271 0.303
9 Na 0.750 0.036 0.170
1) The Peaceful Solution Character Education Program, Responsibility Unit teaches how to manage our time. Step-by-step time management techniques along with Yisrayl Hawkins teaching us to use our time wisely, and to do as Yahshua Messiah stated – Seek you first the Kingdom of Yahweh. To do so in these Last Days we have books, booklets, taped sermons, etc.
2) Idaho’s Ruby Ridge and Texas’ Waco incidents capture the ongoing history of the hatred and persecution directed at anyone who worships Yahweh and attempts to keep Yahweh’s Laws.
The Great Kohan Yliyah presented recent news events to include historic flooding in the Carolinas, sinking landmasses in California with increasing flood risks amidst ongoing drought conditions. Flint Michigan has led in drinking water, Syria and now Iraq asking Russia to intervene to remove ISIL from their lands. Palestinian and Israeli conflict spilling into streets, Saudi Arabia continues to bomb Yemen and still more and more school shootings in the US. President Obama spoke saying that society is suffering from sickness of the mind.
The Greatest Teacher in the world, Yisrayl Hawkins began with an explanation on the meaning of the word Oklahoma to mean – reddish complexion/hair and life. On that “life” note, we see prophecies that add up to the Last Days’ work to bring salvation and life to the peoples.
On this day, Yisrayl did a review of Zecharyah’s prophecies in chapters 6, 8, and 9. The daughters of Zion and Yerusalem reveal those who keep all of Yahweh’s Laws and teach peace.
In keeping with teaching peace and bringing forth salvation, the Yisrayl Hawkins Says Program helps everyone to be able to fulfill Obama’s request for people to study their bibles. It is a one-of-a-kind software program that is free and of benefit to all.
The rise of Rome was not mythological as many propose but rather a settlement of priests, namely the Pharisees, Sadducees, Essenes, and Herodians that fulfilled Daniyl’s prophecies of a fourth beast to become the most successful empire. Yisrayl read from an article, which described its origins as first, an insignificant pastoral settlement to becoming a world organizer with ability to sway nations, and rule supreme as lawgiver (prophesied in Genesis 49).
http://www.infoplease.com/encyclopedia/world/rome-city-italy.html (to deep link above article)
Reading excerpts from the following article, https://www.washingtonpost.com/news/powerpost/wp/2015/10/08/house-majority-leader-kevin-mccarthy-drops-out-of-race-for-house-speaker/ Yisrayl Hawkins explains the meaning of the word infamously and describes a system that the Prophet Daniyl described and later detailed in Yahshua’s words as “a house divided cannot stand.”
Inserted here: calculated crystals.
Entry 1:
This record from the Materials Project database describes an optimized crystal structure of Dy2Re3Si5. The functional is PBE-GGA.

abc: 11.000 11.000 5.560
angles: 90.00 90.00 90.00
Fractional positions:
Dy 0.077 0.238 0.000
Dy 0.238 0.923 0.000
Dy 0.262 0.423 0.500
Dy 0.423 0.738 0.500
Dy 0.577 0.262 0.500
Dy 0.738 0.577 0.500
Dy 0.762 0.077 0.000
Dy 0.923 0.762 0.000
Re 0.000 0.500 0.250
Re 0.000 0.500 0.750
Re 0.124 0.853 0.500
Re 0.147 0.124 0.500
Re 0.353 0.624 0.000
Re 0.376 0.353 0.000
Re 0.500 0.000 0.250
Re 0.500 0.000 0.750
Re 0.624 0.647 0.000
Re 0.647 0.376 0.000
Re 0.853 0.876 0.500
Re 0.876 0.147 0.500
Si 0.000 0.000 0.244
Si 0.000 0.000 0.756
Si 0.027 0.315 0.500
Si 0.173 0.673 0.250
Si 0.173 0.673 0.750
Si 0.185 0.473 0.000
Si 0.315 0.973 0.500
Si 0.327 0.173 0.250
Si 0.327 0.173 0.750
Si 0.473 0.815 0.000
Si 0.500 0.500 0.256
Si 0.500 0.500 0.744
Si 0.527 0.185 0.000
Si 0.673 0.827 0.250
Si 0.673 0.827 0.750
Si 0.685 0.027 0.500
Si 0.815 0.527 0.000
Si 0.827 0.327 0.250
Si 0.827 0.327 0.750
Si 0.973 0.685 0.500

Values from the calculation:
ΔH_f (0 K) = -0.558 eV per atom
raw total energy = -0.5851 Ry per atom



Entry 2:
This record from the Materials Project database describes an optimized crystal structure of TiSn3. The functional is PBE-GGA.

abc: 6.286 6.286 5.493
angles: 90.00 90.00 120.00
Fractional positions:
Ti 0.333 0.667 0.250
Ti 0.667 0.333 0.750
Sn 0.171 0.342 0.750
Sn 0.171 0.829 0.750
Sn 0.342 0.171 0.250
Sn 0.658 0.829 0.750
Sn 0.829 0.171 0.250
Sn 0.829 0.658 0.250

Values from the calculation:
size of the total moment = 0.34 μB per cell
ΔH_f (0 K) = 0.102 eV per atom
raw total energy = -0.3586 Ry per atom



Entry 3:
This record from the Materials Project database describes an optimized crystal structure of Pr2SiTeO4. The functional is PBE-GGA.

abc: 6.402 7.322 11.356
angles: 90.00 90.00 90.00
Fractional positions:
Pr 0.112 0.250 0.000
Pr 0.112 0.250 0.500
Pr 0.387 0.540 0.250
Pr 0.387 0.960 0.750
Pr 0.613 0.040 0.250
Pr 0.613 0.460 0.750
Pr 0.888 0.750 0.000
Pr 0.888 0.750 0.500
Si 0.386 0.750 0.000
Si 0.386 0.750 0.500
Si 0.614 0.250 0.000
Si 0.614 0.250 0.500
Te 0.097 0.576 0.750
Te 0.097 0.924 0.250
Te 0.903 0.076 0.750
Te 0.903 0.424 0.250
O 0.231 0.578 0.036
O 0.231 0.578 0.464
O 0.231 0.922 0.536
O 0.231 0.922 0.964
O 0.453 0.229 0.615
O 0.453 0.229 0.885
O 0.453 0.271 0.115
O 0.453 0.271 0.385
O 0.547 0.729 0.615
O 0.547 0.729 0.885
O 0.547 0.771 0.115
O 0.547 0.771 0.385
O 0.769 0.078 0.036
O 0.769 0.078 0.464
O 0.769 0.422 0.536
O 0.769 0.422 0.964

Values from the calculation:
size of the total moment = 0.00 μB per cell
ΔH_f (0 K) = -3.216 eV per atom
raw total energy = -0.5595 Ry per atom



Entry 4:
This record from the Materials Project database describes an optimized crystal structure of MgB2O7. The functional is PBE-GGA.

abc: 7.309 7.309 8.720
angles: 90.00 90.00 90.00
Fractional positions:
Mg 0.000 0.000 0.000
Mg 0.000 0.500 0.500
Mg 0.500 0.000 0.500
Mg 0.500 0.500 0.000
We conclude with a few facts that detail and fulfill Yahshua’s prophecy from Mattithyah 24. In 2015, in the first 274 days, there have been 294 mass shootings (the majority of incidents are left unreported nationally and internationally). Also, to date there have been over 39,000 gun related incidents. On the disease front – 39 million have died of HIV/AIDS and currently 37 million live with the disease.